Surrey County Council 'doing all it can' to rid itself of connections with Russian companies

Author: Local Democracy Reporter- Julie ArmstrongPublished 23rd Mar 2022

Surrey County Council says it is doing all it can to relinquish all connections with Russian companies.

Councillors today (March 22) unanimously resolved to rid itself of any ties to companies that have Russian interests, following the country’s president’s unprovoked aggression and invasion of Ukraine.

The council leader said all Surrey County Council’s gas was supplied by TotalEnergies and its electricity by EDF, both French companies.

Their only exposure to Russia had been with Gazprom, which supplied its eight care homes earmarked for closure, and that ended in 2020.

Councils across the UK are talking about cutting ties with this Russian state-owned gas company, and McDonald’s, Siemens and Biffa are said to be among the businesses doing the same.

Surrey’s leader Tim Oliver said Surrey County Council has not used them since 2020.

“Since then there has been no contract or relationship with Gazprom,” he said.

Although many Surrey schools buy their utilities through the CCS framework used by the county council, they are not obliged to.

“So it is not impossible that either maintained schools or academies may still be buying gas from Gazprom,” said Cllr Oliver.

“I hope that isn’t the case but that is a decision for them. Any that want to get onto the CCS framework need to make contact with this council and we will help facilitate that.”

The Surrey Pension Fund has minor exposure – less than 0.25 per cent of the fund as of the end of February 2022 – to direct holdings in Russia, Belarus and Ukraine, through VEB, Gazprom and Lukoil sovereign bonds.

The £12million investment, out of a fund value of £5 billion, has been valued down to zero but Surrey Pension Fund continues to hold the assets, with a zero value.

(Inserted here: molecular data)
=====
[1]
This record from the Open Molecules 2025 dataset describes a 2-piece molecular cluster, CH5FOP2 overall. The level of theory is ωB97M-V/def2-TZVPD.

```
10
Properties=species:S:1:pos:R:3:forces:R:3
C 1.93284 -0.04728 -0.18818 -0.5087 -1.0464 -0.8457
O 0.90190 0.17111 -1.16073 -1.8437 0.4012 0.1209
F -0.73686 1.11988 0.51908 0.0511 -0.2781 -0.7972
P -3.55462 0.57368 0.32222 -0.3498 0.2680 -0.1763
P -0.70632 0.05232 -0.75468 2.2132 0.6819 0.8873
H 2.68814 -0.43463 -0.87878 0.6304 0.1153 0.9773
H 1.62801 -0.80929 0.57309 0.2354 0.4898 -0.6022
H 2.18116 0.87836 0.30401 0.2909 0.2561 0.0856
H -3.94347 -0.50841 1.13032 -0.0463 -0.2935 0.2117
H -0.39080 -0.99576 0.13364 -0.6725 -0.5943 0.1387
```
Positions in Å, forces in eV/Å.

Properties
Max |F| in eV/Å: 2.48
Molecular weight in g/mol: 114.0
Frontier orbital gap (spin up / spin down) in eV: 7.205 / 7.115
ΔE to the lowest compared entry with this formula, charge and spin in kJ/mol: 271.1
Lowest unoccupied orbital energy (spin up / spin down) in eV: -1.4 / -1.6

---

[2]
This record from the Open Molecules 2025 dataset describes a 2-piece molecular cluster, CH5FP2 overall. The level of theory is ωB97M-V/def2-TZVPD.

```
9
Properties=species:S:1:pos:R:3:forces:R:3
C -0.19553 -0.51815 0.24316 1.6741 3.2203 5.3709
F -0.35797 -1.72034 -0.11011 -0.0185 -4.3999 -1.7338
P 1.47470 0.34929 -0.05087 -0.4356 -0.1792 -0.9691
P -1.79626 0.35247 0.05338 -0.2275 0.4828 1.5293
H -0.12338 -0.62812 1.92530 -0.1316 0.4857 -3.7381
H 1.41461 0.37342 -1.51022 -0.1046 0.0337 0.7615
H 2.45734 -0.70814 -0.10272 -0.7922 0.0567 0.2822
H -1.53562 0.95747 -1.12504 0.2442 0.4584 -1.7826
H -1.33789 1.54211 0.67713 -0.2083 -0.1585 0.2798
```
Positions in Å, forces in eV/Å.

Properties
Max |F| in eV/Å: 6.48
Molecular weight in g/mol: 98.0
Frontier orbital gap in eV: 10.373
ΔE to the lowest compared entry with this formula, charge and spin in kJ/mol: 365.5
Lowest unoccupied orbital energy in eV: 0.6
=====

It is looking to exit these investments, now that the Russian stock exchange has partially reopened this week and trading of bonds can begin.

It was not able to sell them before due to the sanctions by the UK Government and reciprocal actions taken by the Russian Government.

Scores of schools and colleges and the borough and district councils participate in the Surrey Pension Fund administered by Surrey County Council.

The Surrey Pension Fund Committee’s vice-chair, Councillor Trefor Hogg, told the council at its meeting today: “Our responsible investment policy must consider the real financial risks from governments that do not believe in a peaceful, just society with effective, accountable and inclusive institutions.

“Our £6m of Russian equity investments have already dropped out of the index funds they were held by, and effectively they have been exited.

“Our £6m of bond assets are held by Border to Coast. The 11 county council pension funds which co-own and are customers of Border to Coast have agreed they will follow an approach to exiting in due course, as and when markets permit, so it’s good that the markets have opened. Simply abandoning ownership of these bonds will only benefit the Russian and Belarusian governments.”

He added: “We are also working to identify any indirect investment exposure to Russia and Belarus, such as through BP and Shell, both of which have already shown an intention to exit their Russian investments.”

A spokesperson for Surrey Pension Fund said last week: “The Surrey Pension Fund is saddened by and strongly condemns the invasion of Ukraine by Russia. Given the current circumstances we have immediately suspended making any further investments in Russia and Belarus and continue to review our existing investments with a view to exiting in due course as and when markets permit, as long as the current circumstances prevail. This is above and beyond the UK sanctions currently in place.”